Is The Dental Implant Procedure Painful?

One of the most commonly asked questions from patients considering a dental implant in Richmond is whether the procedure is painful. In fact most patients ask whether it is comparable to any pain they may have experienced during dental extraction. Since everyone has different thresholds of pain tolerance it’s a little difficult to answer this question but most of our patients tell us that they felt less discomfort than they did during the extraction process.

Discomfort during dental implant surgery

dental implants in RichmondAs you’re probably aware the dental implant procedure involves surgery and, as with surgeries of any kind, there is always an element of discomfort and a certain amount of pain. However, since anaesthesia is used during the procedure any discomfort is kept to a minimum during the implant placement. Some patients who have having a bone graft or sinus lift prior to implants may feel a little more discomfort than those who are having a straightforward implant, and it’s true to say that some surgical techniques are a little more uncomfortable than others.

However, all of these factors are taken into consideration when a surgeon is planning the level of anaesthesia to ensure the greatest possible level of comfort for the patient. According to the level of complexity of the procedure and the needs of the patient, either a local or general anaesthetic will be administered. For anyone who is particularly anxious or sensitive, then a variety of sedation techniques including IV and inhalation, will also be offered.

**Here the entry breaks off for records of molecules**
********
(1)
The following is a quantum chemistry calculation of 2 unconnected molecules or ions with the total composition HN3O3S in a non-equilibrium geometry, from the Open Molecules 2025 dataset.

Calculated values
Kohn-Sham gap (Eh): 0.2398
Energy (eV): -21462.45224
Energy above the lowest of the compared OMol25 structures with the same formula, charge and spin (kcal/mol): 5.3
LUMO energy (eV): 6.47
Net charge: -2

Last column: Mulliken charge in e.
Element x y z (Å)
1 N 4.304 -0.594 0.320  -0.616
2 N 3.189 -0.288 0.126  0.171
3 N 2.118 0.159 0.012  -0.548
4 O -1.179 1.052 -0.060  -0.532
5 O -3.426 0.316 0.752  -0.590
6 O -2.346 -0.970 -1.003  -0.577
7 S -2.205 -0.355 0.319  0.369
8 H -0.457 0.682 -0.465  0.322


(2)
The following is a quantum chemistry calculation of a gas-phase ion, C3H7N2O (charge +1) in a non-equilibrium geometry, from the Open Molecules 2025 dataset.

Calculated values
SMILES: OC1=[NH+]CNC1
Kohn-Sham gap (Eh): 0.3673
Energy (eV): -8244.52243
Energy above the lowest of the compared OMol25 structures with the same formula, charge and spin (kcal/mol): 37.3
LUMO energy (eV): -4.04
Net charge: +1

Last column: Mulliken charge in e.
Element x y z (Å)
1 O -2.240 -0.007 -0.253  -0.346
2 C -1.036 -0.046 0.007  0.399
3 N -0.348 -1.163 -0.058  -0.050
4 C 1.071 -0.870 0.056  -0.479
5 N 1.165 0.480 -0.325  -0.323
6 C -0.114 1.110 0.147  -0.381
7 H -2.551 0.834 -0.470  0.359
8 H -0.640 -2.136 -0.063  0.236
9 H 1.445 -1.005 1.048  0.359
10 H 1.639 -1.436 -0.728  0.320
11 H 1.948 0.927 -0.089  0.201
12 H -0.273 1.933 -0.506  0.406
13 H -0.067 1.379 1.235  0.298


(3)
The following is a quantum chemistry calculation of a gas-phase ion, C2H3Br2O2Si (charge -1) in a non-equilibrium geometry, from the Open Molecules 2025 dataset.

Calculated values
SMILES: C[Si](Br)(Br)C(=O)[O-]
Kohn-Sham gap (Eh): 0.2824
Energy (eV): -154184.15451
Energy above the lowest of the compared OMol25 structures with the same formula, charge and spin (kcal/mol): 13.6
LUMO energy (eV): 3.09
Net charge: -1

Last column: Mulliken charge in e.
Element x y z (Å)
1 C -1.190 -0.526 -0.596  -0.973
2 Si 0.869 -0.060 -0.108  0.513
3 Br 1.700 -2.305 -0.181  -0.414
4 Br 1.773 0.505 -2.099  -0.335
5 C 0.622 1.175 1.557  0.554
6 O -0.205 1.982 1.169  -0.559
7 O 1.071 0.848 2.634  -0.588
8 H -2.058 -0.507 0.150  0.292
9 H -1.242 0.336 -1.221  0.244
10 H -1.341 -1.449 -1.304  0.265


(4)
The following is a quantum chemistry calculation of a molecular structure, C22H61ClIN16NbO10P in a non-equilibrium geometry, from the Open Molecules 2025 dataset.

Calculated values
Kohn-Sham gap (Eh): 0.2185
Energy (eV): -99590.87061
LUMO energy (eV): 1.54
Net charge: -1

Last column: Mulliken charge in e.
Element x y z (Å)
1 C -3.541 0.439 -3.778  -1.048
2 C -2.536 -0.608 -4.171  0.498
3 O -2.571 -1.714 -3.706  -0.817
4 N -1.559 -0.295 -5.167  -0.159
5 C -0.829 0.985 -4.958  -1.435
6 C -0.243 1.124 -3.546  0.803
7 C 1.266 1.391 -3.520  -0.980
8 C 1.958 0.920 -2.232  -0.705
********

Post surgery discomfort

Any pain or discomfort following the placement of dental implants in Richmond is comparable to that of many other common dental procedures. As small incisions have to be made in the gums during the procedure, patients may experience some minor bleeding at the implant site immediately after the procedure and once the effects of the anaesthetic wear off, then it’s natural to feel a little pain and discomfort, usually within two or three hours. Some patients may also experience some swelling and minor bruising in the gums and/or face, especially if they have had a bone graft. Generally any discomfort can be relieved with over the counter painkillers such as Ibuprofen and Paracetamol.

Each patient is different, so in a sense their experience is unique to them. However, the majority of patients are pleasantly surprised to find that the dental implant isn’t half as bad as they had feared and is usually more comfortable than they had expected. Many say it is more comfortable than root canal treatment, fillings, and even bridge placement.

If you’d like to learn more about dental implants in Richmond, or find out if you’re a suitable candidate, then why not take advantage of the free consultation that Sheen Dental offers. Call us today on 020 8876 5277 or book online at We look forward to meeting you.